Kick off Building with Nature Training for public and private sector in Indonesia
Coastal resilience
Data records, kept here for reference:
~~~
(1)
Density functional theory data (GGA-PBE) for a geometry-optimized Zn2CdCuPd structure.

Summary:
- Calculated total energy: -2.15 eV per atom
- DOS at the Fermi energy: 2.1 states/eV/cell
- V: 117.5 Å³ per cell

Cell: 4.778 4.778 5.147 Å, 90.00 90.00 90.00°
Space group P4/mmm (No. 123)
Symmetry-distinct sites (fractional):
1 Zn 0.000 0.500 0.000 (multiplicity 2)
2 Cd 0.000 0.000 0.500 (multiplicity 1)
3 Cu 0.500 0.500 0.500 (multiplicity 1)
4 Pd 0.000 0.000 0.000 (multiplicity 1)

***

(2)
Density functional theory data (GGA-PBE) for a geometry-optimized GaTe2Br structure.

Summary:
- DOS at the Fermi energy: 11.4 states/eV/cell
- Formation energy (no corrections): 0.2401 eV/atom
- V: 321.4 Å³ per cell
- E above lowest polymorph: 2.34 eV per formula unit

Cell: 3.3954 3.3954 32.1924 Å, 90.00 90.00 120.00°
Space group R-3m (No. 166, hexagonal axes)
Symmetry-distinct sites (fractional):
1 Ga 0.0000 0.0000 0.0000 (multiplicity 3)
2 Te 0.0000 0.0000 0.0837 (multiplicity 6)
3 Br 0.0000 0.0000 0.5000 (multiplicity 3)

***

(3)
Density functional theory data (GGA-PBE) for a geometry-optimized GdYZnOs structure.

Summary:
- Calculated total energy: -8.51 eV per atom
- DOS at the Fermi energy: 12.7 states/eV/cell
- V: 340.5 Å³ per cell

Cell: 6.983 6.983 6.983 Å, 90.00 90.00 90.00°
Space group F-43m (No. 216)
Symmetry-distinct sites (fractional):
1 Gd 0.000 0.000 0.000 (multiplicity 4)
2 Y 0.000 0.000 0.500 (multiplicity 4)
3 Zn 0.250 0.250 0.250 (multiplicity 4)
4 Os 0.250 0.250 0.750 (multiplicity 4)

***

(4)
Density functional theory data (GGA-PBE) for a geometry-optimized HfP2Br structure.

Summary:
- DOS at the Fermi energy: 9.8 states/eV/cell
- Formation energy (no corrections): 0.2597 eV/atom
- V: 468.4 Å³ per cell
- E above lowest polymorph: 0.00 eV per formula unit

Cell: 5.804 5.804 13.907 Å, 90.00 90.00 90.00°
Space group I-42d (No. 122)
Symmetry-distinct sites (fractional):
1 Hf 0.000 0.000 0.000 (multiplicity 4)
2 P 0.175 0.250 0.125 (multiplicity 8)
3 Br 0.000 0.000 0.500 (multiplicity 4)

***

(5)
Density functional theory data (GGA-PBE) for a geometry-optimized RbWN2 structure.

Summary:
- DOS at the Fermi energy: 11.8 states/eV/cell
- Formation energy (no corrections): 0.1682 eV/atom
- V: 189.4 Å³ per cell
- E above lowest polymorph: 2.39 eV per formula unit

Cell: 3.1554 3.1554 21.9708 Å, 90.00 90.00 120.00°
Space group R-3m (No. 166, hexagonal axes)
Symmetry-distinct sites (fractional):
1 Rb 0.0000 0.0000 0.0000 (multiplicity 3)
2 W 0.0000 0.0000 0.5000 (multiplicity 3)
3 N 0.0000 0.0000 0.1191 (multiplicity 6)

***

(6)
Density functional theory data (GGA-PBE) for a geometry-optimized NaPuInGa structure.

Summary:
- Calculated total energy: -5.42 eV per atom
- DOS at the Fermi energy: 42.5 states/eV/cell
- V: 394.8 Å³ per cell

Cell: 7.336 7.336 7.336 Å, 90.00 90.00 90.00°
Space group F-43m (No. 216)
Symmetry-distinct sites (fractional):
1 Na 0.000 0.000 0.000 (multiplicity 4)
2 Pu 0.000 0.000 0.500 (multiplicity 4)
~~~
Deltares and TU Delft recently kicked off a Training and Awareness program on Building with Nature (BwN) for private sector, government and knowledge institutes in Indonesia, as part of the Building with Nature programme in Indonesia, led by Wetlands International and Ecoshape. The training will improve capacities for applying BwN measures in Indonesia, integrate BwN modules into regular training programs and curricula and raise awareness about benefits of the approach.
While people at different positions see potential for BwN measures, the approach is not yet well-known in Indonesia. After a first Training Needs Assessment with target groups, it was concluded that there is a high demand for training on the philosophy and the potential advantages of BwN.
Technical people also need to be trained on the design, implementation and maintenance of certain appropriate hybrid engineering techniques, like permeable structures in mangrove areas. The training program provides methods, tools and software, supporting a creative, systematic and interactive training process covering all stages of the process towards BwN implementation.
Discussion on BwN concepts, perspectives for Indonesia and the strategic target groups for BwN Training and Awareness program, Inter-ministerial meeting, August 13, 2018, with representatives of the Ministry of Marine Affairs & Fisheries (MMAF), the National Planning Agency (Bappenas), the Ministry Environment & Forestry, the Applied Research Agency and the BwN Consortium. Photo by Bouke Ottow, Deltares
Based on the Needs Assessment, Deltares and TU Delft will further develop the BwN curriculum and select (future) trainers from universities and ministries to participate in the Training of Trainers (ToT). The ToT will result in a pool of qualified trainers that can continue delivering the developed modules for the relevant target groups to spread the BwN philosophy within different networks.
In addition, a Massive Open Online Course (MOOC) will be will be available to a large audience in Indonesia (and beyond).
So far, promising contacts on integrating BwN modules in regular training programs have been established with six universities and research agencies: Bandung Institute of Technology (ITB), Bogor Agricultural University (IPB), Diponegoro University (UnDip), University of Brawijaya (UniBraw), Center for Research and Development of Water Resources (Pusair), Hydrodynamic Institute of Technology BTH (BPPT), and five Ministries and Research departments: Marine Affairs and Fisheries, Environment & Forestry, Public Works & Housing, Planning; and the Coordinating Ministry for Maritime Affairs.
Deltares and TU Delft deliver this training as part of the BwN programme in Indonesia by Ecoshape, Wetlands International, the Indonesian Ministry of Marine Affairs and Fisheries (MMAF), and the Ministry of Public Work and Human Settlement (PU), supported by the Dutch Sustainable Water Fund and the German Federal Ministry for the Environment, Nature Conservation and Nuclear Safety (BMU) as part of the International Climate Initiative (IKI).
For more information on the training: Bouke Ottow, Deltares: [email protected]
For more information on the project, see: www.indonesia.buildingwithnature.nl